Reproduce only the lines further down with the word "Theoretical" in them.
........
(1)
Theoretical powder diffractogram of Tm8GeSe6 for CuKα, from a structure optimized by DFT (PBE).
Peak positions follow from Bragg's law for the DFT cell and can differ from measured ones.

Cell lengths 10.3175, 10.3175, 3.9627 Å; angles 90.00, 90.00, 120.00 degrees
Space group P-3 (No. 147)
One atom of each set of equivalent atoms:
1 Tm 0.0313 0.3031 0.2454 x6
2 Tm 0.3333 0.6667 0.7521 x2
3 Ge 0.0000 0.0000 0.0000 x1
4 Se 0.1295 0.6500 0.2497 x6

Top 10 peaks for 2θ = 10–80°, sorted by position:
- hkl 2 -1 1, 2θ = 28.40°, I 55
- hkl 3 0 0, 2θ = 30.00°, I 69
- hkl 0 2 1, 2θ = 30.15°, I 48
- hkl 3 -1 1, 2θ = 34.91°, I 100
- hkl 1 3 0, 2θ = 36.25°, I 38
- hkl 2 2 1, 2θ = 41.79°, I 44
- hkl 0 0 2, 2θ = 45.80°, I 23
- hkl 3 2 1, 2θ = 50.10°, I 40
- hkl 6 -5 1, 2θ = 62.42°, I 20
- hkl 3 5 1, 2θ = 78.77°, I 22



(2)
Theoretical powder diffractogram of TmGeSe3 for CuKα, from a structure optimized by DFT (PBE).
Peak positions follow from Bragg's law for the DFT cell and can differ from measured ones.

Cell lengths 4.3918, 22.3965, 6.4508 Å; angles 90.00, 90.00, 90.00 degrees
Space group Ama2 (No. 40)
One atom of each set of equivalent atoms:
1 Tm 0.2500 0.1733 0.0000 x4
2 Ge 0.2500 0.3810 0.9224 x4
3 Se 0.2500 0.0795 0.2967 x4
4 Se 0.2500 0.2789 0.7514 x4
5 Se 0.2500 0.3815 0.3018 x4

Top 10 peaks for 2θ = 10–80°, sorted by position:
- hkl 0 4 0, 2θ = 15.83°, I 89
- hkl 0 3 1, 2θ = 18.17°, I 74
- hkl 0 5 1, 2θ = 24.19°, I 53
- hkl 1 1 1, 2θ = 24.85°, I 98
- hkl 1 3 1, 2θ = 27.32°, I 88
- hkl 1 5 1, 2θ = 31.73°, I 50
- hkl 0 6 2, 2θ = 36.83°, I 49
- hkl 1 4 2, 2θ = 38.16°, I 100
- hkl 2 0 0, 2θ = 41.11°, I 54
- hkl 1 10 0, 2θ = 45.46°, I 75



(3)
Theoretical powder diffractogram of UGe3Se6 for CuKα, from a structure optimized by DFT (PBE).
Peak positions follow from Bragg's law for the DFT cell and can differ from measured ones.

Cell lengths 11.8693, 3.8244, 12.0043 Å; angles 90.00, 110.64, 90.00 degrees
Space group P2_1/m (No. 11)
One atom of each set of equivalent atoms:
1 U 0.1940 0.2500 0.0431 x2
2 Ge 0.0628 0.7500 0.3135 x2
3 Ge 0.3539 0.2500 0.4900 x2
4 Ge 0.3623 0.7500 0.8344 x2
5 Se 0.0310 0.7500 0.8973 x2
6 Se 0.1306 0.2500 0.4687 x2
7 Se 0.2129 0.2500 0.7948 x2
8 Se 0.2377 0.7500 0.2345 x2
9 Se 0.3811 0.7500 0.0585 x2
10 Se 0.4273 0.7500 0.6408 x2

Top 10 peaks for 2θ = 10–80°, sorted by position:
- hkl 2 0 1, 2θ = 20.18°, I 34
- hkl 2 1 0, 2θ = 28.33°, I 31
- hkl 4 0 -2, 2θ = 30.47°, I 37
- hkl 1 1 2, 2θ = 30.93°, I 100
- hkl 3 1 -1, 2θ = 32.56°, I 24
- hkl 0 1 3, 2θ = 33.49°, I 39
- hkl 3 1 -4, 2θ = 40.37°, I 30
- hkl 4 1 1, 2θ = 43.26°, I 23
- hkl 1 0 5, 2θ = 43.84°, I 35
- hkl 0 2 0, 2θ = 47.54°, I 38



(4)
Theoretical powder diffractogram of UGeSe3 for CuKα, from a structure optimized by DFT (PBE).
Peak positions follow from Bragg's law for the DFT cell and can differ from measured ones.

Cell lengths 10.6038, 4.0191, 15.2403 Å; angles 90.00, 90.00, 90.00 degrees
Space group Pnma (No. 62)
One atom of each set of equivalent atoms:
1 U 0.1596 0.2500 0.0441 x4
2 Ge 0.0652 0.2500 0.6284 x4
3 Se 0.0036 0.2500 0.8929 x4
4 Se 0.1738 0.2500 0.4788 x4
5 Se 0.1929 0.7500 0.6959 x4

Top 10 peaks for 2θ = 10–80°, sorted by position:
- hkl 1 0 1, 2θ = 10.16°, I 38
- hkl 0 0 2, 2θ = 11.61°, I 100
- hkl 1 0 2, 2θ = 14.31°, I 65
- hkl 2 1 0, 2θ = 27.85°, I 44
- hkl 2 1 1, 2θ = 28.48°, I 33
- hkl 2 1 2, 2θ = 30.27°, I 69
- hkl 2 0 5, 2θ = 33.92°, I 28
- hkl 0 1 5, 2θ = 37.02°, I 30
- hkl 3 1 4, 2θ = 41.47°, I 32
- hkl 0 1 7, 2θ = 47.51°, I 44



(5)
Theoretical powder diffractogram of Ge2W2Se for CuKα, from a structure optimized by DFT (PBE).
Peak positions follow from Bragg's law for the DFT cell and can differ from measured ones.

Cell lengths 7.1627, 7.1627, 3.2729 Å; angles 90.00, 90.00, 90.00 degrees
Space group P4/mbm (No. 127)
One atom of each set of equivalent atoms:
1 Ge 0.1399 0.3601 0.0000 x4
2 W 0.1520 0.6520 0.5000 x4
3 Se 0.0000 0.0000 0.5000 x2

Top 10 peaks for 2θ = 10–80°, sorted by position:
........
Theoretical powder diffractogram of Tm8GeSe6 for CuKα, from a structure optimized by DFT (PBE).
Theoretical powder diffractogram of TmGeSe3 for CuKα, from a structure optimized by DFT (PBE).
Theoretical powder diffractogram of UGe3Se6 for CuKα, from a structure optimized by DFT (PBE).
Theoretical powder diffractogram of UGeSe3 for CuKα, from a structure optimized by DFT (PBE).
Theoretical powder diffractogram of Ge2W2Se for CuKα, from a structure optimized by DFT (PBE).